Entries
~~~
Crystalline RbCr15Te24 at its relaxed geometry. Source: the Materials Project database, functional PBE-GGA.

* calculated formation energy: -0.503 eV/atom
* E (MP2020): -6.033 eV per atom

abc: 10.4193 11.8756 11.8442
angles: 60.04 89.89 112.43
Sites, in units of the cell vectors:
Te (0.9948, 0.6695, 0.6585)
Te (0.3417, 0.3738, 0.4802)
Te (0.3305, 0.3668, 0.8223)
Te (0.6583, 0.6262, 0.5198)
Te (0.6695, 0.6332, 0.1777)
Te (0.6583, 0.2930, 0.5196)
Te (0.6639, 0.2950, 0.8534)
Te (0.3361, 0.7050, 0.1466)
Te (0.0052, 0.9968, 0.3432)
Te (0.6694, 0.9681, 0.1780)
Te (0.9946, 0.3371, 0.6573)
Te (0.6576, 0.9597, 0.5199)
Te (0.3365, 0.3723, 0.1468)
Te (0.6632, 0.9605, 0.8536)
Te (0.3417, 0.7070, 0.4804)
Te (0.9948, 0.0032, 0.6568)
Te (0.0054, 0.6629, 0.3427)
Te (0.3306, 0.0319, 0.8220)
Te (0.6714, 0.3018, 0.1774)
Te (0.0052, 0.3305, 0.3415)
Te (0.6635, 0.6277, 0.8532)
Te (0.3286, 0.6982, 0.8226)
Te (0.3368, 0.0395, 0.1464)
Te (0.3424, 0.0403, 0.4801)
Cr (0.5136, 0.3456, 0.3159)
Cr (0.4868, 0.9861, 0.6833)
Cr (0.8327, 0.8138, 0.5926)
Cr (0.5000, 0.0000, 0.0000)
Cr (0.4871, 0.3206, 0.6842)
Cr (0.5129, 0.6794, 0.3158)
Cr (0.5008, 0.3338, 0.0004)
Cr (0.1663, 0.8500, 0.4102)
Cr (0.4864, 0.6544, 0.6841)
Cr (0.5132, 0.0139, 0.3167)
~~~

To do
Count the lines above that contain the word "Materials" and give the number alone.

Outcome
1